Entries =
+++
# 1
Structure and simulated powder XRD pattern of Y8Ag2Pt (a cell relaxed with GGA-PBE; Cu Ka).
Peak positions follow from Bragg's law for the DFT cell and can differ from measured ones.

The 8 most intense peaks (5 to 70 degrees two-theta), low angle first:
2θ 30.2, d 2.957, I 59, (1 1 -2); 2θ 31.2, d 2.864, I 100, (1 5 -1); 2θ 31.9, d 2.808, I 97, (1 3 1); 2θ 32.5, d 2.752, I 74, (2 4 -1); 2θ 33.1, d 2.705, I 33, (2 2 -2); 2θ 35.7, d 2.514, I 43, (2 4 0); 2θ 36.4, d 2.471, I 44, (0 2 2); 2θ 40.3, d 2.238, I 33, (3 3 -1)

```
data_Y8Ag2Pt
_space_group_name_H-M_alt 'C 1 m 1'
_space_group_IT_number 8
_cell_length_a 7.411
_cell_length_b 16.547
_cell_length_c 6.062
_cell_angle_alpha 90.00
_cell_angle_beta 121.32
_cell_angle_gamma 90.00
loop_
_space_group_symop_operation_xyz
'x,y,z'
'x,-y,z'
'x+1/2,y+1/2,z'
'x+1/2,-y+1/2,z'
loop_
_atom_site_label
_atom_site_fract_x
_atom_site_fract_y
_atom_site_fract_z
_atom_site_occupancy
Y1 0.000 0.000 0.000 1
Y2 0.009 0.119 0.535 1
Y3 0.236 0.305 0.871 1
Y4 0.454 0.115 0.188 1
Y5 0.455 0.000 0.664 1
Ag1 0.238 0.227 0.372 1
Pt1 0.238 0.500 0.190 1
```


# 2
Structure and simulated powder XRD pattern of Ba3Si (a cell relaxed with GGA-PBE; Cu Ka).
Peak positions follow from Bragg's law for the DFT cell and can differ from measured ones.

The 8 most intense peaks (5 to 70 degrees two-theta), low angle first:
2θ 23.0, d 3.874, I 100, (1 0 1); 2θ 24.1, d 3.693, I 51, (0 0 3); 2θ 26.9, d 3.314, I 92, (1 0 2); 2θ 30.6, d 2.924, I 76, (1 1 0); 2θ 39.1, d 2.301, I 43, (1 0 4); 2θ 39.3, d 2.293, I 57, (1 1 3); 2θ 43.8, d 2.068, I 28, (2 0 0); 2θ 52.1, d 1.754, I 29, (2 1 2)

```
data_Ba3Si
_space_group_name_H-M_alt 'P 4/m m m'
_space_group_IT_number 123
_space_group_name_Hall '-P 4 2'
_cell_length_a 4.136
_cell_length_b 4.136
_cell_length_c 11.080
_cell_angle_alpha 90.00
_cell_angle_beta 90.00
_cell_angle_gamma 90.00
loop_
_atom_site_label
_atom_site_fract_x
_atom_site_fract_y
_atom_site_fract_z
_atom_site_occupancy
Ba1 0.000 0.000 0.000 1
Ba2 0.500 0.500 0.338 1
Si1 0.000 0.000 0.500 1
```


# 3
Structure and simulated powder XRD pattern of Tb2Ho7Tm3 (a cell relaxed with GGA-PBE; Cu Ka).
Peak positions follow from Bragg's law for the DFT cell and can differ from measured ones.

The 8 most intense peaks (5 to 70 degrees two-theta), low angle first:
2θ 30.9, d 2.897, I 41, (1 11 0); 2θ 31.7, d 2.827, I 25, (0 8 1); 2θ 31.8, d 2.813, I 57, (2 0 0); 2θ 32.1, d 2.789, I 100, (1 5 1); 2θ 34.3, d 2.618, I 35, (1 7 1); 2θ 35.2, d 2.549, I 25, (1 13 0); 2θ 45.5, d 1.994, I 18, (2 8 1); 2θ 56.9, d 1.619, I 20, (3 5 1)

```
data_Tb2Ho7Tm3
_space_group_name_H-M_alt 'C m m m'
_space_group_IT_number 65
_space_group_name_Hall '-C 2 2'
_cell_length_a 5.626
_cell_length_b 37.180
_cell_length_c 3.561
_cell_angle_alpha 90.00
_cell_angle_beta 90.00
_cell_angle_gamma 90.00
loop_
_atom_site_label
_atom_site_fract_x
_atom_site_fract_y
_atom_site_fract_z
_atom_site_occupancy
Tb1 0.000 0.148 0.000 1
Ho1 0.000 0.000 0.000 1
Ho2 0.000 0.072 0.500 1
Ho3 0.000 0.231 0.000 1
Ho4 0.000 0.409 0.000 1
Tm1 0.000 0.315 0.500 1
Tm2 0.000 0.500 0.500 1
```


# 4
Structure and simulated powder XRD pattern of CsMgPtCl6 (a cell relaxed with GGA-PBE; Cu Ka).
Peak positions follow from Bragg's law for the DFT cell and can differ from measured ones.

The 8 most intense peaks (5 to 70 degrees two-theta), low angle first:
2θ 11.2, d 7.930, I 71, (0 0 1); 2θ 15.6, d 5.674, I 43, (1 0 0); 2θ 18.9, d 4.688, I 100, (0 1 -1); 2θ 19.5, d 4.544, I 93, (0 1 1); 2θ 19.7, d 4.511, I 91, (1 -1 1); 2θ 27.9, d 3.202, I 36, (2 -1 0); 2θ 34.6, d 2.593, I 54, (1 1 -2); 2θ 36.4, d 2.469, I 67, (2 -1 2)

```
data_CsMgPtCl6
_space_group_name_H-M_alt 'P 1'
_space_group_IT_number 1
_cell_length_a 6.408
_cell_length_b 6.412
_cell_length_c 7.936
_cell_angle_alpha 91.08
_cell_angle_beta 91.20
_cell_angle_gamma 117.66
loop_
_space_group_symop_operation_xyz
'x,y,z'
loop_
_atom_site_label
_atom_site_fract_x
_atom_site_fract_y
_atom_site_fract_z
_atom_site_occupancy
+++

Work order =
Now quote only the last part of the lines further up, starting with the line that has "data_Tb2Ho7Tm3".

Result =
data_Tb2Ho7Tm3
_space_group_name_H-M_alt 'C m m m'
_space_group_IT_number 65
_space_group_name_Hall '-C 2 2'
_cell_length_a 5.626
_cell_length_b 37.180
_cell_length_c 3.561
_cell_angle_alpha 90.00
_cell_angle_beta 90.00
_cell_angle_gamma 90.00
loop_
_atom_site_label
_atom_site_fract_x
_atom_site_fract_y
_atom_site_fract_z
_atom_site_occupancy
Tb1 0.000 0.148 0.000 1
Ho1 0.000 0.000 0.000 1
Ho2 0.000 0.072 0.500 1
Ho3 0.000 0.231 0.000 1
Ho4 0.000 0.409 0.000 1
Tm1 0.000 0.315 0.500 1
Tm2 0.000 0.500 0.500 1
```


# 4
Structure and simulated powder XRD pattern of CsMgPtCl6 (a cell relaxed with GGA-PBE; Cu Ka).
Peak positions follow from Bragg's law for the DFT cell and can differ from measured ones.

The 8 most intense peaks (5 to 70 degrees two-theta), low angle first:
2θ 11.2, d 7.930, I 71, (0 0 1); 2θ 15.6, d 5.674, I 43, (1 0 0); 2θ 18.9, d 4.688, I 100, (0 1 -1); 2θ 19.5, d 4.544, I 93, (0 1 1); 2θ 19.7, d 4.511, I 91, (1 -1 1); 2θ 27.9, d 3.202, I 36, (2 -1 0); 2θ 34.6, d 2.593, I 54, (1 1 -2); 2θ 36.4, d 2.469, I 67, (2 -1 2)

```
data_CsMgPtCl6
_space_group_name_H-M_alt 'P 1'
_space_group_IT_number 1
_cell_length_a 6.408
_cell_length_b 6.412
_cell_length_c 7.936
_cell_angle_alpha 91.08
_cell_angle_beta 91.20
_cell_angle_gamma 117.66
loop_
_space_group_symop_operation_xyz
'x,y,z'
loop_
_atom_site_label
_atom_site_fract_x
_atom_site_fract_y
_atom_site_fract_z
_atom_site_occupancy